### Job
Next, reproduce the whole of the notes below verbatim.

### Contents
{"formula": "C24H14Cl68N3O2", "method": "the ωB97M-V functional and the def2-TZVPD basis", "symbols": ["C", "C", "C", "N", "C", "N", "N", "C", "C", "O", "C", "O", "H", "H", "H", "H", "H", "H", "H", "H", "H", "H", "H", "H", "H", "H", "C", "Cl", "Cl", "Cl", "Cl", "C", "Cl", "Cl", "Cl", "Cl", "C", "Cl", "Cl", "Cl", "Cl", "C", "Cl", "Cl", "Cl", "Cl", "C", "Cl", "Cl", "Cl", "Cl", "C", "Cl", "Cl", "Cl", "Cl", "C", "Cl", "Cl", "Cl", "Cl", "C", "Cl", "Cl", "Cl", "Cl", "C", "Cl", "Cl", "Cl", "Cl", "C", "Cl", "Cl", "Cl", "Cl", "C", "Cl", "Cl", "Cl", "Cl", "C", "Cl", "Cl", "Cl", "Cl", "C", "Cl", "Cl", "Cl", "Cl", "C", "Cl", "Cl", "Cl", "Cl", "C", "Cl", "Cl", "Cl", "Cl", "C", "Cl", "Cl", "Cl", "Cl", "C", "Cl", "Cl", "Cl", "Cl"], "positions_angstrom": [[-3.340, 1.884, 1.790], [-3.175, 2.309, 0.363], [-2.195, 1.561, -0.725], [-0.821, 2.174, -0.872], [0.235, 1.464, -0.053], [0.326, -0.022, 0.210], [1.269, 2.244, 0.481], [2.426, 1.705, 1.291], [3.032, 2.804, 2.393], [2.259, 2.844, 3.654], [0.938, 3.464, 3.473], [0.632, 4.753, 3.644], [-3.615, 2.726, 2.574], [-3.244, 0.741, 2.121], [-3.833, 3.223, -0.032], [-2.732, 1.683, -1.784], [-2.211, 0.416, -0.491], [-0.544, 2.278, -1.883], [-0.541, -0.421, 0.630], [0.667, -0.564, -0.615], [1.268, 3.290, 0.297], [2.196, 0.739, 1.910], [3.301, 1.469, 0.513], [4.102, 2.366, 2.690], [3.217, 3.855, 1.904], [0.070, 2.745, 3.081], [-1.524, 1.265, -4.711], [-1.409, -0.128, -3.606], [-1.782, 0.683, -6.375], [-2.891, 2.299, -4.225], [-0.012, 2.206, -4.639], [-5.495, -1.185, -1.134], [-7.106, -1.507, -1.823], [-4.541, -2.691, -1.126], [-4.660, 0.041, -2.122], [-5.671, -0.585, 0.534], [3.923, 6.895, 3.236], [4.038, 5.503, 4.341], [3.665, 6.313, 1.572], [2.556, 7.929, 3.722], [5.435, 7.836, 3.308], [1.805, 5.840, -4.739], [3.094, 7.070, -4.735], [2.508, 4.244, -5.106], [1.025, 5.791, -3.138], [0.593, 6.254, -5.978], [4.014, 8.597, 7.745], [2.352, 9.154, 7.428], [4.864, 8.353, 6.198], [4.877, 9.821, 8.710], [3.964, 7.059, 8.644], [-4.178, -6.881, -0.769], [-3.278, -5.344, -0.831], [-5.700, -6.715, -1.681], [-3.191, -8.177, -1.491], [-4.543, -7.288, 0.927], [1.078, -9.170, -1.439], [0.055, -7.878, -0.761], [1.250, -10.480, -0.243], [0.322, -9.812, -2.919], [2.686, -8.510, -1.831], [-8.191, 1.748, -4.377], [-8.500, 2.142, -2.667], [-9.115, 0.293, -4.827], [-8.697, 3.114, -5.402], [-6.451, 1.442, -4.611], [0.336, -3.180, -5.667], [1.236, -1.644, -5.729], [-1.186, -3.014, -6.578], [1.323, -4.476, -6.389], [-0.029, -3.587, -3.971], [9.355, 6.758, 2.633], [11.101, 6.939, 2.328], [9.081, 5.361, 3.704], [8.732, 8.235, 3.412], [8.506, 6.498, 1.088], [-2.352, 6.791, 2.767], [-2.630, 5.557, 1.512], [-0.874, 7.708, 2.381], [-3.743, 7.903, 2.824], [-2.161, 5.996, 4.350], [-10.165, -3.519, -0.453], [-8.599, -4.309, -0.141], [-10.700, -2.661, 1.014], [-9.988, -2.355, -1.791], [-11.374, -4.751, -0.895], [1.242, -13.365, 3.064], [2.808, -14.154, 3.376], [0.706, -12.507, 4.531], [1.419, -12.201, 1.727], [0.033, -14.597, 2.622], [-12.750, -3.002, 4.667], [-14.361, -3.323, 3.978], [-11.796, -4.507, 4.675], [-11.915, -1.776, 3.679], [-12.926, -2.401, 6.335], [11.182, 1.851, 2.640], [10.494, 3.267, 1.805], [12.344, 1.034, 1.564], [12.016, 2.382, 4.122], [9.873, 0.720, 3.068], [0.843, -11.785, -6.374], [0.565, -13.019, -7.628], [2.321, -10.868, -6.760], [-0.548, -10.673, -6.316], [1.034, -12.580, -4.791], [10.937, 1.997, -2.401], [9.326, 1.676, -3.090], [11.891, 0.492, -2.393], [11.772, 3.223, -3.389], [10.761, 2.598, -0.733]], "lowdin_charge": [-0.037, -0.159, -0.296, 0.027, -0.137, 0.106, 0.099, -0.119, -0.175, -0.154, -0.143, -0.073, 0.067, 0.071, 0.110, 0.001, 0.098, 0.085, 0.100, 0.119, 0.187, 0.146, 0.159, 0.163, 0.058, 0.164, -1.961, 0.511, 0.548, 0.549, 0.503, -1.945, 0.485, 0.478, 0.508, 0.540, -1.962, 0.560, 0.536, 0.515, 0.475, -2.012, 0.532, 0.485, 0.484, 0.529, -1.992, 0.511, 0.467, 0.523, 0.514, -1.989, 0.457, 0.521, 0.503, 0.528, -1.970, 0.486, 0.457, 0.492, 0.522, -2.006, 0.511, 0.514, 0.526, 0.470, -2.010, 0.492, 0.512, 0.533, 0.488, -2.003, 0.527, 0.486, 0.504, 0.505, -2.000, 0.501, 0.507, 0.529, 0.530, -1.985, 0.498, 0.483, 0.475, 0.531, -1.988, 0.519, 0.516, 0.442, 0.519, -2.004, 0.518, 0.512, 0.472, 0.517, -1.966, 0.416, 0.514, 0.533, 0.520, -2.012, 0.520, 0.509, 0.496, 0.495, -1.987, 0.500, 0.515, 0.518, 0.434], "gap_ev": 7.455, "lumo_energy_ev": -4.376, "total_charge": 1, "e_tot_ev": -885185.750, "homo_ev": -11.831}

### Solution
{"formula": "C24H14Cl68N3O2", "method": "the ωB97M-V functional and the def2-TZVPD basis", "symbols": ["C", "C", "C", "N", "C", "N", "N", "C", "C", "O", "C", "O", "H", "H", "H", "H", "H", "H", "H", "H", "H", "H", "H", "H", "H", "H", "C", "Cl", "Cl", "Cl", "Cl", "C", "Cl", "Cl", "Cl", "Cl", "C", "Cl", "Cl", "Cl", "Cl", "C", "Cl", "Cl", "Cl", "Cl", "C", "Cl", "Cl", "Cl", "Cl", "C", "Cl", "Cl", "Cl", "Cl", "C", "Cl", "Cl", "Cl", "Cl", "C", "Cl", "Cl", "Cl", "Cl", "C", "Cl", "Cl", "Cl", "Cl", "C", "Cl", "Cl", "Cl", "Cl", "C", "Cl", "Cl", "Cl", "Cl", "C", "Cl", "Cl", "Cl", "Cl", "C", "Cl", "Cl", "Cl", "Cl", "C", "Cl", "Cl", "Cl", "Cl", "C", "Cl", "Cl", "Cl", "Cl", "C", "Cl", "Cl", "Cl", "Cl", "C", "Cl", "Cl", "Cl", "Cl"], "positions_angstrom": [[-3.340, 1.884, 1.790], [-3.175, 2.309, 0.363], [-2.195, 1.561, -0.725], [-0.821, 2.174, -0.872], [0.235, 1.464, -0.053], [0.326, -0.022, 0.210], [1.269, 2.244, 0.481], [2.426, 1.705, 1.291], [3.032, 2.804, 2.393], [2.259, 2.844, 3.654], [0.938, 3.464, 3.473], [0.632, 4.753, 3.644], [-3.615, 2.726, 2.574], [-3.244, 0.741, 2.121], [-3.833, 3.223, -0.032], [-2.732, 1.683, -1.784], [-2.211, 0.416, -0.491], [-0.544, 2.278, -1.883], [-0.541, -0.421, 0.630], [0.667, -0.564, -0.615], [1.268, 3.290, 0.297], [2.196, 0.739, 1.910], [3.301, 1.469, 0.513], [4.102, 2.366, 2.690], [3.217, 3.855, 1.904], [0.070, 2.745, 3.081], [-1.524, 1.265, -4.711], [-1.409, -0.128, -3.606], [-1.782, 0.683, -6.375], [-2.891, 2.299, -4.225], [-0.012, 2.206, -4.639], [-5.495, -1.185, -1.134], [-7.106, -1.507, -1.823], [-4.541, -2.691, -1.126], [-4.660, 0.041, -2.122], [-5.671, -0.585, 0.534], [3.923, 6.895, 3.236], [4.038, 5.503, 4.341], [3.665, 6.313, 1.572], [2.556, 7.929, 3.722], [5.435, 7.836, 3.308], [1.805, 5.840, -4.739], [3.094, 7.070, -4.735], [2.508, 4.244, -5.106], [1.025, 5.791, -3.138], [0.593, 6.254, -5.978], [4.014, 8.597, 7.745], [2.352, 9.154, 7.428], [4.864, 8.353, 6.198], [4.877, 9.821, 8.710], [3.964, 7.059, 8.644], [-4.178, -6.881, -0.769], [-3.278, -5.344, -0.831], [-5.700, -6.715, -1.681], [-3.191, -8.177, -1.491], [-4.543, -7.288, 0.927], [1.078, -9.170, -1.439], [0.055, -7.878, -0.761], [1.250, -10.480, -0.243], [0.322, -9.812, -2.919], [2.686, -8.510, -1.831], [-8.191, 1.748, -4.377], [-8.500, 2.142, -2.667], [-9.115, 0.293, -4.827], [-8.697, 3.114, -5.402], [-6.451, 1.442, -4.611], [0.336, -3.180, -5.667], [1.236, -1.644, -5.729], [-1.186, -3.014, -6.578], [1.323, -4.476, -6.389], [-0.029, -3.587, -3.971], [9.355, 6.758, 2.633], [11.101, 6.939, 2.328], [9.081, 5.361, 3.704], [8.732, 8.235, 3.412], [8.506, 6.498, 1.088], [-2.352, 6.791, 2.767], [-2.630, 5.557, 1.512], [-0.874, 7.708, 2.381], [-3.743, 7.903, 2.824], [-2.161, 5.996, 4.350], [-10.165, -3.519, -0.453], [-8.599, -4.309, -0.141], [-10.700, -2.661, 1.014], [-9.988, -2.355, -1.791], [-11.374, -4.751, -0.895], [1.242, -13.365, 3.064], [2.808, -14.154, 3.376], [0.706, -12.507, 4.531], [1.419, -12.201, 1.727], [0.033, -14.597, 2.622], [-12.750, -3.002, 4.667], [-14.361, -3.323, 3.978], [-11.796, -4.507, 4.675], [-11.915, -1.776, 3.679], [-12.926, -2.401, 6.335], [11.182, 1.851, 2.640], [10.494, 3.267, 1.805], [12.344, 1.034, 1.564], [12.016, 2.382, 4.122], [9.873, 0.720, 3.068], [0.843, -11.785, -6.374], [0.565, -13.019, -7.628], [2.321, -10.868, -6.760], [-0.548, -10.673, -6.316], [1.034, -12.580, -4.791], [10.937, 1.997, -2.401], [9.326, 1.676, -3.090], [11.891, 0.492, -2.393], [11.772, 3.223, -3.389], [10.761, 2.598, -0.733]], "lowdin_charge": [-0.037, -0.159, -0.296, 0.027, -0.137, 0.106, 0.099, -0.119, -0.175, -0.154, -0.143, -0.073, 0.067, 0.071, 0.110, 0.001, 0.098, 0.085, 0.100, 0.119, 0.187, 0.146, 0.159, 0.163, 0.058, 0.164, -1.961, 0.511, 0.548, 0.549, 0.503, -1.945, 0.485, 0.478, 0.508, 0.540, -1.962, 0.560, 0.536, 0.515, 0.475, -2.012, 0.532, 0.485, 0.484, 0.529, -1.992, 0.511, 0.467, 0.523, 0.514, -1.989, 0.457, 0.521, 0.503, 0.528, -1.970, 0.486, 0.457, 0.492, 0.522, -2.006, 0.511, 0.514, 0.526, 0.470, -2.010, 0.492, 0.512, 0.533, 0.488, -2.003, 0.527, 0.486, 0.504, 0.505, -2.000, 0.501, 0.507, 0.529, 0.530, -1.985, 0.498, 0.483, 0.475, 0.531, -1.988, 0.519, 0.516, 0.442, 0.519, -2.004, 0.518, 0.512, 0.472, 0.517, -1.966, 0.416, 0.514, 0.533, 0.520, -2.012, 0.520, 0.509, 0.496, 0.495, -1.987, 0.500, 0.515, 0.518, 0.434], "gap_ev": 7.455, "lumo_energy_ev": -4.376, "total_charge": 1, "e_tot_ev": -885185.750, "homo_ev": -11.831}